Read One Direction - It's Gotta Be You Page 3

Harry's POV

  "I'm Susann," she said and smiled back at me. She was really beautiful. Not like normal beautiful, there was something extraordinary about her that I just couldn't put my finger on. And what I liked most about her was that she had no idea who I was, and that was a rare occasion. Not that I wanted to brag about my-self, but I didn't really get around much with people not screaming at me. Of course it was exhausting, but our fans are the best. We wouldn't be anywhere without them.

  Suddenly, a familiar Irish accent interrupted us.

  "Hey, you coming man?" Niall put his blonde haired head out from the backdoor.

  "Yeah Niall, I'll be there in a minute." I looked back at her and smiled again. I didn't want to leave her just like that, but I could see the bunch of girls outside getting bigger and bigger.

  "Sorry, but I'll have to go. It was great to meet you, and, again, I'm really sorry for running you over." I hurried up and collected all her bottles together before saying goodbye again and leaving. As much as I wanted to see her again, I was pretty sure it would never happen. As I walked through the back door, I suddenly changed my mind, but as I turned around, she was already gone?

  DEL 5

  Susann's POV

  I thanked Harry for helping me collecting up the mess and he quickly said goodbye. As I did not want to mess up again by losing all the bottles, which would be so typical me, I rushed back to Synne. As much as I wanted to stay talk to him and get to know him, when I went back, he was already gone. I guess I got a little disappointed, he probably didn't look at me different than any other girl he'd met. I shook my head and went over to Synne who was waiting at the checkout. When she saw me coming she instantly went over.

  "Hey, what took you so long? I've been waiting here for like hours!"

  "Nothing, I just bumped into someone ? literally." As soon as I mentioned "someone" she was all over me asking about who it was.

  "Was it someone I know? Was it someone from school? Was it a BOY?!?!" I laughed a little before answering her.

  "Yes, it was a boy, and no, I do not know who he was. I don't think I've seen him around here before."

  "Hmm.. Susann's got a boyfriend!!"

  "WHAT? No, I haven't, we were just talking!"

  "See, you're blushing!" She laughed out loud at my reaction and everyone else around us looked at us. I got even more embarrassed and hurried out of the shop. It had stopped raining as we walked back to the school area.

  When we entered the huge canteen, everybody was freaking out for no particularly reason, or so it seemed to me. We found the other girls sitting around one of the small tables talking non-stop.

  "Malin, what's going on here? Everybody's totally out of their minds!" I looked at Synne, but it didn't seem like she knew more than I did.

  "Haven't you heard??!!" Malin nearly screamed back at us.

  "Hey, calm down. We wore at the shop getting something to drink."

  "OMG, I just can't believe it!!!!" Fatema screamed.

  "Me neither, and I can't believe we missed it!" Alette added.

  "Can someone please tell me what's going on here?!" I nearly shouted because of the loud volume in the canteen at the moment.

  "ONE DIRECTION WAS HERE!!!!" Fatema screamed even louder, and, if possible, everyone just got even more excited.

  "Who?" I asked curiously. Everyone looked at me and their faces dropped.

  "Who? You've got to be kidding me? They're only like THE BIGGEST boy band in the entire UK," Fatema continued.

  "Please don't tell me you haven't heard of them before?" As I thought back I remembered one of the girls, probably Fatema, mentioning them earlier this morning. But I had no idea who they were. I shook my head and got some very disappointed looks back at me.

  Suddenly someone's phone rang, it was Fatema's.

  "Hello?" Fatema answered. Suddenly, the biggest smile I've ever seen formed in her face as she nearly fell of the chair?

  DEL 6

  Susann's POV

  "Hello?" Fatema answered. Suddenly, the biggest smile I've ever seen formed in her face as she nearly fell of the chair?

  We were all quiet just looking at Fatema, everyone was wondering what the phone call was about. She seemed too excited for it to be only a normal call, and everyone gathered around her. Suddenly she began screaming again, and started jumping around the table.

  "Really?! Really?!?! Are you kidding with me? Is this a joke? OMG!!!!!" Fatema continued talking on the phone which only got us even more interested. When she finally finished, everyone bombarded her with questions. At first, she became all quiet before suddenly shouting out loud..

  "I won, I won!!!! I can't believe it!!"

  "Wait, are you kidding me?! Are you serious?" Malin shouted.

  "OMG you've got to be joking! Is this for real?" Alette and the other girls continued, without me understanding anything at all.

  "What is it now?" I started to get a little annoyed, no one seemed to be able to do anything except jumping around. When they finally calmed down, Fatema slowly told me the entire story.

  "About a month ago I entered this competition where you can win 5 tickets to see One Direction on a concert + meeting them in London. And I just got a phone call telling me I won!!"

  "Seriously, how good are these One Direction boys anyway?" Suddenly I got four evil looks tearing me down.

  "They're beyond amazing!" Alette said and the other girls agreed instantly and started talking about how gorgeous and wonderful they all were.

  "But, who are you taking with you to the concert then?" I asked, still a little confused.

  "Who do you think silly? You guys of course!" Fatema said back with a huge smile.

  "But I don't even know who they are!"

  "Well, we've got to fix that. And trust me, you will be amazed beyond everything you could ever imagine!"

  "I'd doubt that." The girls just laughed at me. I mean, they were just five random boys that, I guess, could sing alright?

  "Are you guys free this weekend?" Everyone nodded while looking curiously back at me.

  "Why? What did you have in mind?"

  "Well, I thought since you were all going to "amaze" me with One Direction and all, I thought me might have a sleepover at my house on Friday?"

  "Yes, that's an amazayn idea!" Synne added, while everyone started planning everything into every small detail. As for me, I wasn't too excited for the One Direction part, but the sleepover were going to be great?

  DEL 7

  Susann's POV:

  "We will now begin on our way down, thank you for flying with Norwegian and we hope you enjoyed your flight," the speaker announced as the plane slowly made its way down to the airport. I could feel the tears streaming down my cheek as I thought about the last week. When I'd gotten home from school last Thursday, I had received a phone call from my mum who had to delay her "trip around the world". My grandmother had gotten very sick, not exactly sure what it was, but it was serious. I had left on the first plane back to Norway to see her, but only three days later she passed away. My grandmother and I were really close, so it hurt me to not be able to spend any more time with her before it all happened. The funeral was on Tuesday, and I spent Wednesday with my mother but we didn't really say much to each other, we were both too broken inside. On Thursday, I decided I wanted to visit my two best friends again, they had heard about what happened and tried to help me feel a little better. I then realized how much I had missed not having them around the last weeks..

(Materials data from another source follow)
=====
Entry 1:
YCr2Pt | PBE-GGA | relaxed

Results
E above lowest polymorph (eV per formula unit): 1.98
Energy of formation from the pure elements (meV per atom): 391

Lattice parameters (Å, degrees): 4.4715 4.4715 4.4715 60.00 60.00 60.00
With the nearest neighbours (Å) after each atom.
Positions (direct):
Cr1 0.7500 0.7500 0.7500  4 Pt 2.74, 4 Y 2.74
Cr2 0.2500 0.2500 0.2500  4 Pt 2.74, 4 Y 2.74
Pt1 0.5000 0.5000 0.5000  8 Cr 2.74
Y1 0.0000 0.0000 0.0000  8 Cr 2.74


Entry 2:
Sm4SO5 | PBE-GGA | relaxed

Results
Energy relative to the elements, uncorrected (eV/atom): -2.99

Lattice parameters (Å, degrees): 5.7401 7.3595 9.0342 90.00 90.00 90.00
With the nearest neighbours (Å) after each atom.
Positions (direct):
Sm1 0.0280 0.0000 0.2738  5 O 2.36-2.47
Sm2 0.0280 0.0000 0.7262  5 O 2.36-2.47
S1 0.1905 0.5000 0.5000  4 Sm 2.65-2.77
Sm3 0.5136 0.7576 0.5000  3 O 2.20-2.27
O1 0.7668 0.7547 0.3178  3 Sm 2.20-2.38
Sm4 0.9720 0.5000 0.2262  5 O 2.36-2.47
Sm5 0.5136 0.2424 0.5000  3 O 2.20-2.27
O2 0.2332 0.2547 0.8178  3 Sm 2.20-2.38
O3 0.2332 0.7453 0.1822  3 Sm 2.20-2.38
O4 0.2332 0.7453 0.8178  3 Sm 2.20-2.38
O5 0.2332 0.2547 0.1822  3 Sm 2.20-2.38
S2 0.8095 0.0000 0.0000  4 Sm 2.65-2.77
O6 0.7318 0.5000 0.0000  4 Sm 2.27-2.47
O7 0.2682 0.0000 0.5000  4 Sm 2.27-2.47
O8 0.7668 0.7547 0.6822  3 Sm 2.20-2.38
Sm6 0.4864 0.7424 0.0000  3 O 2.20-2.27
O9 0.7668 0.2453 0.6822  3 Sm 2.20-2.38
Sm7 0.9720 0.5000 0.7738  5 O 2.36-2.47
Sm8 0.4864 0.2576 0.0000  3 O 2.20-2.27
O10 0.7668 0.2453 0.3178  3 Sm 2.20-2.38


Entry 3:
CuTc2H | PBE-GGA | relaxed

Results
E above lowest polymorph (eV per formula unit): 1.77

Lattice parameters (Å, degrees): 4.0444 4.0444 4.0444 60.00 60.00 60.00
With the nearest neighbours (Å) after each atom.
Positions (direct):
Tc1 0.7500 0.7500 0.7500  4 Cu 2.48, 4 H 2.48
Tc2 0.2500 0.2500 0.2500  4 Cu 2.48, 4 H 2.48
H1 0.0000 0.0000 0.0000  8 Tc 2.48
Cu1 0.5000 0.5000 0.5000  8 Tc 2.48


Number 1: uncorrected energy -30.2 eV for the cell shown. Number 2: uncorrected energy -155.3 eV for the cell shown. Number 3: uncorrected energy -24.8 eV for the cell shown.

~~~~~

This record from Alexandria via LeMat-Bulk describes a relaxed TbMg2Ag2 crystal. The functional is PBE-GGA.

Cell: 4.9775 4.9775 5.5157 Å, 90.00 90.00 120.00°
Fractional positions:
Tb  0.0000  0.0000  0.0000
Mg  0.3333  0.6667  0.3647
Mg  0.6667  0.3333  0.6353
Ag  0.3333  0.6667  0.8568
Ag  0.6667  0.3333  0.1432

N(E_F) = 2.459 states/eV/cell
Energy of formation from the pure elements = -0.17 eV/atom
ΔE to the lowest computed polymorph = 0.026 eV/atom
=====
(Here the article continues)

  And now I was on my way back to Cheshire to my sleepover party which had been moved to today, Friday 9th December. I was really excited about it, cause it was my first official "get together" with the girls. They also seemed over excited about the One Direction thing. I had mentioned it to my friends at home as well, and surprisingly they had also gone mental when I mentioned them, apparently I was missing out big time. Well, I guess that will show tonight, as it probably would be all about One Direction all night. The belt-sign went off and I stood
up to get my bag. I walked off the plane and continued into the luggage pick-up inside the airport. It wasn't really that many people on my plane, so I had no problems finding a spot to wait on my luggage. The band slowly started rolling and I looked over at some people playing on it. They looked like teenagers, but didn't really act like it as they were playing on the luggage-band while waiting. Suddenly I spotted my luggage coming out nearly first, and as it came closer I leant over to get it, but suddenly someone lifted it up and placed it beside me.

  "I'm guessing this is yours?" I turned around to see a slightly familiar face looking down at me?

  DEL 8

  "Well, hello again," I said looking up at the same boy that had knocked me over at the shop the other day. This time he wore a blue Jack Willis shirt and black pants, possibly looking even better than the first time we met.

  "Hello to you too," he smiled back at me and I noticed his dimples, didn't even know a guy could make me feel like that by only smiling. I collected my thoughts, felt a little embarrassed, like I've met this guy once and I already like him A LOT.

  "So, what brings you to the airport on a schoolday?" I looked down and tears started forming in my eyes. Why did this happen now, and in front of him of all people!

  "Hey, what is it? Did I say anything wrong?" He came closer, put his arm around me and looked at me with a slightly confused look.

  "No, it's not your fault. It's?. it's my grandmother?. she got sick and? and?" I busted out in tears and he took me closer and into his arms. On one side